About 40% of my online browsing time has been consumed by CrossFit. I go on insta and search #crossfitchics and look at hash tagged images and videos for inspiration and motivation. I also read forums and blogs to understand techniques as I'm still new to all these olympic movements and would hate to injure myself. Being a mother and primary carer of my children I can't risk not being 100%, so good form and not hurting myself is really important to me. But I think that excuse it's holding me back from pushing past the uncomfortable or awkward feeling we all get when we workout.
I've also read its important to journal your progress and admittedly I haven't been. I kinda guestimate what my 1RM is for each of the weight lifting movements. There's a term used in CrossFit (and in the weight lifting world) called RM, Repetition Maximum. It is the maximum weight a person can lift and complete a full rep.
It's been 6 months since I started doing CrossFit and I wish I did write down more stats then just my starting weight so I can see how far I've come. Especially since I expect to stop losing weight as I start improving my strength and focus on gaining mussle mass. I did take some "before" body photos but again wish I took shots of other areas of my body so I can really see the improvements.
_Inserted here: materials data_
- - -
First-principles (PBE) data for a relaxed structure of TbTl2P2S6, as listed in the Alexandria database.

a b c (Å): 11.579 6.890 8.011
angles (deg): 90.00 117.66 90.00
Space group C2/m (No. 12)
Unique sites:
Tb 0.000 0.000 0.000
Tl 0.206 0.000 0.690
P 0.046 0.500 0.679
S 0.051 0.256 0.295
S 0.241 0.500 0.885

## Properties
formation energy (no corrections) = -590 meV per atom
raw total energy = -4.677 eV/atom


## A
First-principles (PBE) data for crystalline DyCu2Ag at its relaxed geometry, as listed in the Alexandria database.

Calculated values
The value obtained for the density of states at the Fermi level is 0.529 states/eV/atom. Its density is 9.32 g/cm3.

Cell lengths 4.644, 4.644, 4.644 Å; angles 60.00, 60.00, 60.00 degrees
Fractional coordinates of all 4 atoms:
Cu (0.250, 0.250, 0.250)
Cu (0.750, 0.750, 0.750)
Ag (0.500, 0.500, 0.500)
Dy (0.000, 0.000, 0.000)

## B
First-principles (PBE) data for crystalline DyCu2Ag at its relaxed geometry, as listed in the Alexandria database.

Calculated values
The value obtained for the density of states at the Fermi level is 0.284 states/eV/atom. Its density is 9.24 g/cm3.

Cell lengths 3.386, 3.386, 6.233 Å; angles 90.00, 90.00, 90.00 degrees
Fractional coordinates of all 4 atoms:
Cu (0.000, 0.000, 0.787)
Cu (0.000, 0.000, 0.213)
Ag (0.500, 0.500, 0.000)
Dy (0.500, 0.500, 0.500)

Most stable: A. Least stable: B.

## A
First-principles (PBE) data for crystalline Dy3CuAg at its relaxed geometry, as listed in the Alexandria database.

Calculated values
The value obtained for the density of states at the Fermi level is 0.796 states/eV/atom. Its density is 8.93 g/cm3.

Cell lengths 5.019, 5.023, 10.041 Å; angles 90.00, 75.53, 90.00 degrees
Fractional coordinates of all 10 atoms:
Dy (0.758, 0.250, 0.133)
Dy (0.390, 0.250, 0.868)
Dy (0.574, 0.250, 0.500)
Dy (0.258, 0.750, 0.132)
Dy (0.890, 0.750, 0.867)
Dy (0.074, 0.750, 0.500)
Cu (0.483, 0.750, 0.682)
Cu (0.165, 0.250, 0.318)
Ag (0.665, 0.750, 0.318)
Ag (0.983, 0.250, 0.682)

## B
First-principles (PBE) data for crystalline Dy3CuAg at its relaxed geometry, as listed in the Alexandria database.

Calculated values
The value obtained for the density of states at the Fermi level is 1.121 states/eV/atom. Its density is 8.11 g/cm3.

Cell lengths 3.746, 8.923, 8.930 Å; angles 64.67, 90.00, 90.00 degrees
Fractional coordinates of all 10 atoms:
Dy (0.863, 0.387, 0.823)
Dy (0.863, 0.001, 0.669)
Dy (0.863, 0.617, 0.054)
Dy (0.363, 0.033, 0.085)
Dy (0.863, 0.771, 0.439)
Dy (0.363, 0.356, 0.408)
Cu (0.364, 0.694, 0.246)
Cu (0.364, 0.194, 0.747)
Ag (0.363, 0.694, 0.746)
Ag (0.863, 0.195, 0.247)

Most stable: A. Least stable: B.

## A
First-principles (PBE) data for crystalline DyHoCuAg at its relaxed geometry, as listed in the Alexandria database.

Calculated values
The value obtained for the density of states at the Fermi level is 0.556 states/eV/atom. Its density is 9.22 g/cm3.

Cell lengths 5.027, 5.027, 5.027 Å; angles 60.00, 60.00, 60.00 degrees
- - -
_The materials data stop here_
Sometimes during the WOD's (work out of the day), I wonder if my technique is right as there are no mirrors in a box, and I feel too silly to ask one of the trainers to record me on my phone. Maybe I'll borrow my sister's Go-Pro and record my workout one day ... maybe not.
____________
# SmIBr

SmIBr after structural relaxation (GGA-PBE, Alexandria via LeMat-Bulk).

Properties
- calculated volume (Å³ per cell) = 113.9
- ΔE_f (raw) (eV per formula unit) = -4.3

Cell: 4.0851 4.0851 7.8821 Å, 90.00 90.00 120.00°
With the nearest neighbours (Å) after each atom.
Space group P3m1 (No. 156)
Symmetry-distinct sites (fractional):
Sm 0.0000 0.0000 0.0000 x1  3 Br 2.98, 3 I 3.13
I 0.3333 0.6667 0.7392 x1  3 Sm 3.13
Br 0.6667 0.3333 0.2306 x1  3 Sm 2.98
____________
Well there's no time like the present to start journaling my progress. It seems silly if I keep all this information in a different place than my blog. So starting today I'm going to push myself harder and also write down my 1RM for the various weight lifting workouts.
It's been 6 months since I started doing CrossFit and I'm totally enjoying it. I like the variety, no two work outs are ever the same. I like weight lifting and improving my strength. I like feeling in pain for two days post work out. I like how the workouts are short but intense. I like the various types of cardio and I like the mind games I have with myself when I complete the workouts. Big personal wins since doing CrossFit six months ago include:
- Learning the various olympic weight lifting movements which, I've never done before. I've never touched a bar bell until I started CrossFit.
(These calculated crystals were left in the article by mistake)
........
1.
Entry from Alexandria via LeMat-Bulk: an optimized crystal structure of Pa2MnTcN5 (PBE).

It has space group Cmc2_1 (No. 36), with a = 3.362 Å, b = 13.233 Å, c = 9.398 Å, α = 90.00°, β = 90.00° and γ = 90.00°. The distinct sites, in fractional coordinates, are Pa at (0.000, 0.121, 0.000), Pa at (0.000, 0.134, 0.620), Mn at (0.000, 0.443, 0.767), Tc at (0.000, 0.203, 0.323), N at (0.000, 0.040, 0.346), N at (0.000, 0.296, 0.973), N at (0.000, 0.312, 0.678), N at (0.000, 0.362, 0.313) and N at (0.000, 0.500, 0.084).

=====

2.
Entry from Alexandria via LeMat-Bulk: an optimized crystal structure of Pa2MnTe2N2 (PBE).

It has space group C2/m (No. 12), with a = 11.258 Å, b = 3.920 Å, c = 7.545 Å, α = 90.00°, β = 121.96° and γ = 90.00°. The distinct sites, in fractional coordinates, are Pa at (0.190, 0.000, 0.270), Mn at (0.000, 0.000, 0.500), Te at (0.071, 0.500, 0.841) and N at (0.205, 0.000, 0.581).

=====

3.
Entry from Alexandria via LeMat-Bulk: an optimized crystal structure of ThPaMnN4 (PBE).

It has space group I4mm (No. 107), with a = 3.757 Å, b = 3.757 Å, c = 12.510 Å, α = 90.00°, β = 90.00° and γ = 90.00°. The distinct sites, in fractional coordinates, are Th at (0.000, 0.000, 0.000), Pa at (0.000, 0.000, 0.721), Mn at (0.000, 0.000, 0.341), N at (0.000, 0.000, 0.187), N at (0.000, 0.000, 0.547) and N at (0.000, 0.500, 0.355).

=====

4.
Entry from Alexandria via LeMat-Bulk: an optimized crystal structure of PaTi2MnN4 (PBE).

It has space group Cmcm (No. 63), with a = 3.133 Å, b = 10.741 Å, c = 10.366 Å, α = 90.00°, β = 90.00° and γ = 90.00°. The distinct sites, in fractional coordinates, are Pa at (0.000, 0.103, 0.250), Ti at (0.000, 0.371, 0.050), Mn at (0.000, 0.156, 0.750), N at (0.000, 0.000, 0.000), N at (0.000, 0.274, 0.617) and N at (0.000, 0.442, 0.250).

=====

5.
Entry from Alexandria via LeMat-Bulk: an optimized crystal structure of Pa2TiMnN5 (PBE).

It has space group Cmc2_1 (No. 36), with a = 3.232 Å, b = 12.836 Å, c = 10.049 Å, α = 90.00°, β = 90.00° and γ = 90.00°. The distinct sites, in fractional coordinates, are Pa at (0.000, 0.106, 0.000), Pa at (0.000, 0.146, 0.627), Ti at (0.000, 0.199, 0.328), Mn at (0.000, 0.469, 0.779), N at (0.000, 0.053, 0.388), N at (0.000, 0.280, 0.982), N at (0.000, 0.322, 0.696), N at (0.000, 0.368, 0.319) and N at (0.000, 0.488, 0.099).

=====

6.
Entry from Alexandria via LeMat-Bulk: an optimized crystal structure of U2PaMnN4 (PBE).

It has space group Cmcm (No. 63), with a = 3.311 Å, b = 11.347 Å, c = 11.297 Å, α = 90.00°, β = 90.00° and γ = 90.00°. The distinct sites, in fractional coordinates, are U at (0.000, 0.134, 0.058), Pa at (0.000, 0.394, 0.250), Mn at (0.000, 0.345, 0.750), N at (0.000, 0.050, 0.250), N at (0.000, 0.221, 0.628) and N at (0.000, 0.500, 0.000).

=====
........
- Wall hand stand. I could never do cartwheels as a kid and really don't feel comfortable hanging upside down. I still always fall at my first 1-2 attempts at wall stands, which then affects my confidence to try again ... so this is a big deal for me.
- 1RM back squat: 50kg
- 1RM dead lift: 65kg
- Only need one band to complete pull ups, I started with two.
When I get around to doing the other weight based movements I'll add them to this post with the date I completed it. I'll try finding my new 1RM for all the movements again in 3 months time and see how I've progressed.